Global Economy

published : 2023-09-06

Cartels Exploit Banana Trade to Smuggle Cocaine from Latin America: Report

Spain Records Largest-ever Cocaine Bust After Seizing Banana Shipments

A photo of a bustling port with containers being loaded onto ships, taken with a Nikon D850.

Drug cartels have discovered an ingenious method to transport cocaine from Latin America to Europe, utilizing Ecuador's thriving banana trade as a convenient cover.

Authorities in Belgium, Spain, the Czech Republic, and other European countries have intercepted numerous banana shipments originating from Ecuador, each containing millions of dollars' worth of cocaine.

In a recent astonishing seizure, Spain confiscated 9.5 tons of cocaine valued at around $239 million, along with luxury watches and 1.5 million Euros in cash.

Italian police, aided by drug-sniffing dogs, uncovered a staggering 3 tons of cocaine concealed within banana shipments from Ecuador. If successfully delivered to Armenia, it would have been worth a staggering $900 million.

Another startling discovery occurred in a Czech supermarket, where employees stumbled upon 840 kilograms (roughly 1850 pounds) of cocaine, worth approximately $85.5 million, hidden amidst banana shipments that had been wrongly delivered.

News of these daring smuggling attempts has shed light on the extensive reach and audacity of drug cartels, as their lucrative trade poses an increasing threat to the entire European Union.

An image of a police officer inspecting a banana shipment, looking for hidden cocaine, taken with a Canon EOS 5D Mark IV.

Although neighboring countries Colombia and Peru are major producers of cocaine globally, the dismantling of the Revolutionary Armed Force of Colombia and their subsequent decrease in activities has created a power vacuum that Mexican drug cartels are now exploiting.

Encouraged by their strength and experience, these powerful cartels have formed alliances with Ecuadorian gangs, using the country's lax border security, extensive port access, and robust shipping infrastructure to establish a stronghold as the main cocaine outlet.

Recent police data has revealed that an astonishing 47.5 metric tons of cocaine were discovered in banana shipments last year alone, despite a 6.4% decrease in the fruit's overall exports.

Ecuador's ports currently inspect no more than 30% of containers, relying on manual checks and drug-sniffing dogs to detect illicit shipments.

However, in a bid to combat this growing crisis, President Guillermo Lasso's government aims to implement container scanners, a step that would greatly enhance detection capabilities. Despite plans to have twelve machines in operation by now, they have yet to be fully deployed.

Exporters in Ecuador are stepping up security measures, investing around $100 million annually in measures such as plantation surveillance cameras, GPS tracking for trucks, and identification of routes that require police patrols to deter gangs.

A photograph of a group of drug-sniffing dogs trained to detect cocaine in banana shipments, taken with a Sony A7 III.

The fight against this insidious trade continues, with agriculture and customs officials recently taking action to eliminate fake or incomplete profiles from the government-run banana export database. Additionally, permits for non-existent plantations spanning approximately 40,000 acres have been revoked.

The battle between drug cartels and authorities is an ongoing struggle, and the outcome will have far-reaching implications for the global fight against organized crime.

[Between two parts of the text: crystal structures]
........
[1]
CaTb7Dy4: calculated powder XRD pattern (Cu Kα (λ = 1.5418 Å)), based on DFT lattice parameters and positions (PBE).
Neutral-atom scattering factors, no anomalous dispersion.

a = 6.2434 Å, b = 7.2123 Å, c = 8.8744 Å
α = 90.01°, β = 103.47°, γ = 90.00°
Space group P-1 (No. 2)
Symmetry-distinct sites (fractional):
Ca: 0.0000 0.0000 0.0000
Tb: 0.0000 0.5000 0.0000
Tb: 0.2256 0.9998 0.6600
Tb: 0.2818 0.2536 0.3377
Tb: 0.5004 0.2569 0.0004
Dy: 0.2203 0.4996 0.6684
Dy: 0.2825 0.7465 0.3377

Main lines, sorted by position (15 to 90 degrees two-theta):
- (1 2 0), d = 3.100 Å, rel. 34
- (1 2 -1), d = 3.035 Å, rel. 26
- (0 0 3), d = 2.877 Å, rel. 53
- (2 0 -2), d = 2.812 Å, rel. 100
- (2 0 1), d = 2.674 Å, rel. 95
- (3 2 -1), d = 1.803 Å, rel. 40
- (2 0 -5), d = 1.679 Å, rel. 20
- (2 0 4), d = 1.591 Å, rel. 21
- (3 2 2), d = 1.528 Å, rel. 47
- (2 4 -2), d = 1.518 Å, rel. 15



[2]
CaTb5Dy3: calculated powder XRD pattern (Cu Kα (λ = 1.5418 Å)), based on DFT lattice parameters and positions (PBE).
Neutral-atom scattering factors, no anomalous dispersion.

a = 16.9656 Å, b = 9.8399 Å, c = 6.9945 Å
α = 90.00°, β = 90.00°, γ = 90.00°
Space group Cmcm (No. 63)
Symmetry-distinct sites (fractional):
Ca: 0.0000 0.1495 0.2500
Tb: 0.0000 0.1924 0.7500
Tb: 0.1594 0.3510 0.2500
Tb: 0.1761 0.3197 0.7500
Dy: 0.0000 0.5000 0.0000
Dy: 0.1712 0.0000 0.0000

Main lines, sorted by position (15 to 90 degrees two-theta):
- (0 2 2), d = 2.848 Å, rel. 100
- (3 3 0), d = 2.837 Å, rel. 66
- (6 0 0), d = 2.828 Å, rel. 34
- (0 4 2), d = 2.012 Å, rel. 10
- (6 2 2), d = 2.007 Å, rel. 25
- (0 0 4), d = 1.749 Å, rel. 9
- (0 6 0), d = 1.640 Å, rel. 28
- (9 3 0), d = 1.635 Å, rel. 23
- (6 0 4), d = 1.488 Å, rel. 30
- (9 3 4), d = 1.194 Å, rel. 8



[3]
CaTb4Dy4: calculated powder XRD pattern (Cu Kα (λ = 1.5418 Å)), based on DFT lattice parameters and positions (PBE).
Neutral-atom scattering factors, no anomalous dispersion.

a = 6.6265 Å, b = 9.0285 Å, c = 10.5242 Å
α = 106.04°, β = 100.46°, γ = 96.28°
Space group P-1 (No. 2)
Symmetry-distinct sites (fractional):
Ca: 0.0023 0.2574 0.2597
Tb: 0.1279 0.3578 0.6119
Tb: 0.2196 0.9594 0.3988
Tb: 0.3331 0.0747 0.7443
Tb: 0.4035 0.6489 0.9477
Dy: 0.0609 0.3115 0.9315
Dy: 0.2784 0.0256 0.0646
Dy: 0.3360 0.5811 0.2501
Dy: 0.4438 0.6930 0.5903

Main lines, sorted by position (15 to 90 degrees two-theta):
- (1 2 -3), d = 2.891 Å, rel. 31
- (2 1 -2), d = 2.870 Å, rel. 67
- (0 3 0), d = 2.852 Å, rel. 100
- (1 -1 3), d = 2.843 Å, rel. 74
- (-1 1 3), d = 2.830 Å, rel. 80
- (2 -2 0), d = 2.805 Å, rel. 82
- (1 2 3), d = 2.009 Å, rel. 22
- (2 4 -2), d = 1.766 Å, rel. 21
- (3 -3 3), d = 1.629 Å, rel. 40
- (4 2 -2), d = 1.495 Å, rel. 24



[4]
CaTb6Dy6: calculated powder XRD pattern (Cu Kα (λ = 1.5418 Å)), based on DFT lattice parameters and positions (PBE).
Neutral-atom scattering factors, no anomalous dispersion.

a = 6.6797 Å, b = 6.6797 Å, c = 11.4100 Å
α = 90.00°, β = 90.00°, γ = 120.00°
Space group P6/mmm (No. 191)
........

Stay tuned as we closely monitor developments in this gripping saga.

Note: This article does not represent the views of Fox News.